[Entries]
~~~
TbPu2N4: computed X-ray powder pattern (Cu Kα, 1.54184 Å), based on the GGA-PBE geometry in Alexandria.
No peak broadening, texture or thermal motion is included.

Structure:
abc: 5.8995 5.8995 10.4363
angles: 90.00 90.00 146.63
Fractional coordinates of all 14 atoms:
Tb  0.1072  0.8928  0.7500
Tb  0.8928  0.1072  0.2500
Pu  0.3684  0.6316  0.5705
Pu  0.3684  0.6316  0.9295
Pu  0.6316  0.3684  0.0705
Pu  0.6316  0.3684  0.4295
N  0.0000  0.0000  0.0000
N  0.0000  0.0000  0.5000
N  0.2731  0.7269  0.1076
N  0.2731  0.7269  0.3924
N  0.4635  0.5365  0.7500
N  0.5365  0.4635  0.2500
N  0.7269  0.2731  0.6076
N  0.7269  0.2731  0.8924

The 8 most intense peaks (2θ from 10° to 90°), in order of falling intensity:
- 30.17 deg, I = 100.0
- 32.49 deg, I = 41.5
- 31.67 deg, I = 39.0
- 28.81 deg, I = 34.2
- 55.51 deg, I = 33.1
- 39.73 deg, I = 29.5
- 36.70 deg, I = 28.4
- 63.24 deg, I = 25.7

----------

Ho6Fe16O: computed X-ray powder pattern (CuKα), based on a PBE+U-relaxed structure.

The 10 most intense peaks (5° ≤ 2θ ≤ 70°), low angle first:
2θ (°), I_rel
29.85, 25
32.78, 77
35.49, 51
38.03, 33
40.43, 100
52.99, 16
54.87, 20
60.28, 16
65.40, 37
68.71, 19

Atomic structure:
```
Ho6Fe16O
1.0
-4.733 4.733 4.733
4.733 -4.733 4.733
4.733 4.733 -4.733
Ho Fe O
6 16 1
direct
0.000 0.261 0.261 Ho
0.000 0.739 0.739 Ho
0.261 0.000 0.261 Ho
0.261 0.261 0.000 Ho
0.739 0.000 0.739 Ho
0.739 0.739 0.000 Ho
0.000 0.000 0.500 Fe
0.000 0.353 0.647 Fe
0.000 0.500 0.000 Fe
0.000 0.647 0.353 Fe
0.295 0.647 0.647 Fe
0.353 0.000 0.647 Fe
0.353 0.353 0.705 Fe
0.353 0.647 0.000 Fe
0.353 0.705 0.353 Fe
0.500 0.000 0.000 Fe
0.500 0.500 0.500 Fe
0.647 0.000 0.353 Fe
0.647 0.295 0.647 Fe
0.647 0.353 0.000 Fe
0.647 0.647 0.295 Fe
0.705 0.353 0.353 Fe
0.000 0.000 0.000 O
```

----------

# 1
CoPH6O6F: simulated X-ray diffraction stick pattern (Cu Kα X-rays), based on a crystal structure in the Materials Project, relaxed with PBE+U.

Structural model:
```
data_CoPH6O6F
_chemical_formula_sum 'Co4 P4 H24 O24 F4'
_space_group_name_H-M_alt 'P -1'
_space_group_IT_number 2
_space_group_name_Hall '-P 1'
_cell_length_a 4.8337
_cell_length_b 10.4123
_cell_length_c 11.2806
_cell_angle_alpha 96.38
_cell_angle_beta 90.90
_cell_angle_gamma 99.37
loop_
_atom_site_label
_atom_site_type_symbol
_atom_site_fract_x
_atom_site_fract_y
_atom_site_fract_z
Co1 Co 0.0000 0.0000 0.0000
Co2 Co 0.0000 0.0000 0.5000
Co3 Co 0.5000 0.5000 0.0000
Co4 Co 0.5000 0.5000 0.5000
P1 P 0.0732 0.6953 0.4194
P2 P 0.0736 0.6958 0.9199
H1 H 0.1412 0.6104 0.6293
H2 H 0.1416 0.6119 0.1291
H3 H 0.2362 0.2112 0.4088
H4 H 0.2358 0.2108 0.9090
H5 H 0.2681 0.0806 0.2186
H6 H 0.2689 0.0805 0.7186
H7 H 0.3535 0.5948 0.7332
H8 H 0.3549 0.5961 0.2326
H9 H 0.4614 0.1152 0.3991
H10 H 0.4613 0.1149 0.8991
H11 H 0.4905 0.1030 0.1146
H12 H 0.4911 0.1032 0.6145
O1 O 0.1331 0.3473 0.4848
O2 O 0.1337 0.3457 0.9844
O3 O 0.2046 0.8408 0.4447
O4 O 0.2063 0.8412 0.9448
O5 O 0.2630 0.1185 0.8816
O6 O 0.2631 0.1188 0.3818
O7 O 0.2850 0.6048 0.8892
O8 O 0.2870 0.6056 0.3884
O9 O 0.3089 0.0501 0.1354
O10 O 0.3096 0.0502 0.6352
O11 O 0.3377 0.6024 0.6464
O12 O 0.3382 0.6038 0.1458
F1 F 0.1104 0.3135 0.2007
F2 F 0.1109 0.3142 0.7011
```

Principal peaks in the range 15° ≤ 2θ ≤ 90°, low angle first:
15.82°, d 5.602, I = 100, (0 0 2)
24.74°, d 3.598, I = 23, (1 -1 2)
24.93°, d 3.572, I = 23, (0 2 2)
26.08°, d 3.416, I = 40, (1 1 -2)
27.52°, d 3.241, I = 14, (1 -2 2)
27.64°, d 3.227, I = 22, (1 2 0)
29.63°, d 3.015, I = 26, (1 -3 0)
34.88°, d 2.572, I = 41, (-1 3 2)
40.58°, d 2.223, I = 15, (1 2 -4)
51.16°, d 1.785, I = 14, (2 0 4)

# 2
CoSbP2O8: simulated X-ray diffraction stick pattern (Cu Kα X-rays), based on a crystal structure in the Materials Project, relaxed with PBE+U.

Structural model:
```
data_CoSbP2O8
_chemical_formula_sum 'Co4 Sb4 P8 O32'
_space_group_name_H-M_alt 'P 1'
_space_group_IT_number 1
_space_group_name_Hall 'P 1'
_cell_length_a 7.9854
_cell_length_b 8.0414
_cell_length_c 10.9059
_cell_angle_alpha 103.31
~~~

[Job]
Next, copy the lines above up to the one that holds "_cell_length_a 7.9854", that line included.

[Done]
TbPu2N4: computed X-ray powder pattern (Cu Kα, 1.54184 Å), based on the GGA-PBE geometry in Alexandria.
No peak broadening, texture or thermal motion is included.

Structure:
abc: 5.8995 5.8995 10.4363
angles: 90.00 90.00 146.63
Fractional coordinates of all 14 atoms:
Tb  0.1072  0.8928  0.7500
Tb  0.8928  0.1072  0.2500
Pu  0.3684  0.6316  0.5705
Pu  0.3684  0.6316  0.9295
Pu  0.6316  0.3684  0.0705
Pu  0.6316  0.3684  0.4295
N  0.0000  0.0000  0.0000
N  0.0000  0.0000  0.5000
N  0.2731  0.7269  0.1076
N  0.2731  0.7269  0.3924
N  0.4635  0.5365  0.7500
N  0.5365  0.4635  0.2500
N  0.7269  0.2731  0.6076
N  0.7269  0.2731  0.8924

The 8 most intense peaks (2θ from 10° to 90°), in order of falling intensity:
- 30.17 deg, I = 100.0
- 32.49 deg, I = 41.5
- 31.67 deg, I = 39.0
- 28.81 deg, I = 34.2
- 55.51 deg, I = 33.1
- 39.73 deg, I = 29.5
- 36.70 deg, I = 28.4
- 63.24 deg, I = 25.7

----------

Ho6Fe16O: computed X-ray powder pattern (CuKα), based on a PBE+U-relaxed structure.

The 10 most intense peaks (5° ≤ 2θ ≤ 70°), low angle first:
2θ (°), I_rel
29.85, 25
32.78, 77
35.49, 51
38.03, 33
40.43, 100
52.99, 16
54.87, 20
60.28, 16
65.40, 37
68.71, 19

Atomic structure:
```
Ho6Fe16O
1.0
-4.733 4.733 4.733
4.733 -4.733 4.733
4.733 4.733 -4.733
Ho Fe O
6 16 1
direct
0.000 0.261 0.261 Ho
0.000 0.739 0.739 Ho
0.261 0.000 0.261 Ho
0.261 0.261 0.000 Ho
0.739 0.000 0.739 Ho
0.739 0.739 0.000 Ho
0.000 0.000 0.500 Fe
0.000 0.353 0.647 Fe
0.000 0.500 0.000 Fe
0.000 0.647 0.353 Fe
0.295 0.647 0.647 Fe
0.353 0.000 0.647 Fe
0.353 0.353 0.705 Fe
0.353 0.647 0.000 Fe
0.353 0.705 0.353 Fe
0.500 0.000 0.000 Fe
0.500 0.500 0.500 Fe
0.647 0.000 0.353 Fe
0.647 0.295 0.647 Fe
0.647 0.353 0.000 Fe
0.647 0.647 0.295 Fe
0.705 0.353 0.353 Fe
0.000 0.000 0.000 O
```

----------

# 1
CoPH6O6F: simulated X-ray diffraction stick pattern (Cu Kα X-rays), based on a crystal structure in the Materials Project, relaxed with PBE+U.

Structural model:
```
data_CoPH6O6F
_chemical_formula_sum 'Co4 P4 H24 O24 F4'
_space_group_name_H-M_alt 'P -1'
_space_group_IT_number 2
_space_group_name_Hall '-P 1'
_cell_length_a 4.8337
_cell_length_b 10.4123
_cell_length_c 11.2806
_cell_angle_alpha 96.38
_cell_angle_beta 90.90
_cell_angle_gamma 99.37
loop_
_atom_site_label
_atom_site_type_symbol
_atom_site_fract_x
_atom_site_fract_y
_atom_site_fract_z
Co1 Co 0.0000 0.0000 0.0000
Co2 Co 0.0000 0.0000 0.5000
Co3 Co 0.5000 0.5000 0.0000
Co4 Co 0.5000 0.5000 0.5000
P1 P 0.0732 0.6953 0.4194
P2 P 0.0736 0.6958 0.9199
H1 H 0.1412 0.6104 0.6293
H2 H 0.1416 0.6119 0.1291
H3 H 0.2362 0.2112 0.4088
H4 H 0.2358 0.2108 0.9090
H5 H 0.2681 0.0806 0.2186
H6 H 0.2689 0.0805 0.7186
H7 H 0.3535 0.5948 0.7332
H8 H 0.3549 0.5961 0.2326
H9 H 0.4614 0.1152 0.3991
H10 H 0.4613 0.1149 0.8991
H11 H 0.4905 0.1030 0.1146
H12 H 0.4911 0.1032 0.6145
O1 O 0.1331 0.3473 0.4848
O2 O 0.1337 0.3457 0.9844
O3 O 0.2046 0.8408 0.4447
O4 O 0.2063 0.8412 0.9448
O5 O 0.2630 0.1185 0.8816
O6 O 0.2631 0.1188 0.3818
O7 O 0.2850 0.6048 0.8892
O8 O 0.2870 0.6056 0.3884
O9 O 0.3089 0.0501 0.1354
O10 O 0.3096 0.0502 0.6352
O11 O 0.3377 0.6024 0.6464
O12 O 0.3382 0.6038 0.1458
F1 F 0.1104 0.3135 0.2007
F2 F 0.1109 0.3142 0.7011
```

Principal peaks in the range 15° ≤ 2θ ≤ 90°, low angle first:
15.82°, d 5.602, I = 100, (0 0 2)
24.74°, d 3.598, I = 23, (1 -1 2)
24.93°, d 3.572, I = 23, (0 2 2)
26.08°, d 3.416, I = 40, (1 1 -2)
27.52°, d 3.241, I = 14, (1 -2 2)
27.64°, d 3.227, I = 22, (1 2 0)
29.63°, d 3.015, I = 26, (1 -3 0)
34.88°, d 2.572, I = 41, (-1 3 2)
40.58°, d 2.223, I = 15, (1 2 -4)
51.16°, d 1.785, I = 14, (2 0 4)

# 2
CoSbP2O8: simulated X-ray diffraction stick pattern (Cu Kα X-rays), based on a crystal structure in the Materials Project, relaxed with PBE+U.

Structural model:
```
data_CoSbP2O8
_chemical_formula_sum 'Co4 Sb4 P8 O32'
_space_group_name_H-M_alt 'P 1'
_space_group_IT_number 1
_space_group_name_Hall 'P 1'
_cell_length_a 7.9854